Three offices of Joseon

Three Offices, or Samsa (삼사·三司), is a collective name for three government offices in the Joseon Dynasty that functioned as major organ of press and provided checks and balance on the king and the officials. These were Office of Inspector General (Saheonbu·사헌부), Office of Censors (Saganwon·사간원), and Office of Special Advisors (Hongmungwan·홍문관).

While modeled after the Chinese system of Censorate, they played much more prominent roles in the Joseon government than their Chinese counterparts. Some historians credit the Three Offices for the absence of abuses by eunuchs that were prevalent throughout Chinese history.[1]

The officials who served in these offices, called "daegan" (대간), tended to be younger and of lower rank compared to other offices such as the Six Ministries but had strong academic reputations and enjoyed special privileges and great prestige. To be appointed, they went through a more thorough review of character and family background. The children of officials who were impeached for corruption and children of concubines were excluded, and only those who passed literary gwageo examinations could become a daegan. As it attracted the elite of Joseon officialdom, the Three Offices provided one of the fastest routes of promotion to top posts in the Royal Court and was almost a requirement to becoming a State Councillor.

Office of Inspector General

It monitored government administration and officials at each level in both central and local governments for corruption, malfeasance, or inefficiency. It was also in charge of advancing public morals and Confucian customs and redressing grievances of the populace. It was headed by Inspector General (Daesaheon·대사헌), who oversaw 30 largely independent officials. It is the largest and most senior office of Three Offices.

Office of Censors

Starting from DFT lattice parameters and positions (GGA+U), the powder X-ray diffraction pattern of Ba2Co3F10 was computed for Cu Kα, 1.54184 Å.
No peak broadening, texture or thermal motion is included.

Structural model:
a b c (Å): 18.9373 6.1126 8.0151
angles (deg): 90.00 111.73 90.00
Space group C2/m (No. 12)
Inequivalent atoms, fractional coordinates:
Ba  0.1144  0.0000  0.2201 [4 per cell]
Ba  0.2174  0.0000  0.8155 [4 per cell]
Co  0.0000  0.2453  0.5000 [4 per cell]
Co  0.0746  0.5000  0.9581 [4 per cell]
Co  0.1780  0.5000  0.5184 [4 per cell]
F  0.0000  0.2728  0.0000 [4 per cell]
F  0.0155  0.0000  0.6834 [4 per cell]
F  0.0207  0.5000  0.6834 [4 per cell]
F  0.1121  0.2385  0.5280 [8 per cell]
F  0.1341  0.5000  0.2445 [4 per cell]
F  0.1518  0.2610  0.9794 [8 per cell]
F  0.2370  0.5000  0.7814 [4 per cell]
F  0.2500  0.2500  0.5000 [4 per cell]

Principal peaks in the range 2θ from 5° to 70°, low angle first:
(3 1 1), 26.9°, rel. 100.0
(3 1 -2), 27.4°, rel. 57.1
(6 0 -1), 28.3°, rel. 51.4
(0 2 0), 29.2°, rel. 26.2
(5 1 1), 35.2°, rel. 19.4
(0 2 2), 38.1°, rel. 30.8
(6 2 -1), 41.1°, rel. 54.6
(0 0 4), 48.9°, rel. 22.3
(3 3 1), 50.4°, rel. 17.7
(2 2 3), 51.4°, rel. 18.9

=====

Record 1
For Nd2Mg3Cd3, DFT lattice parameters and positions (GGA-PBE) gives the calculated XRD peak list in this record (λ = 1.5418 Å (Cu Kα)).
No peak broadening, texture or thermal motion is included.

Peak list (6 most intense, 15° ≤ 2θ ≤ 90°, low angle first)
- hkl 0 0 6, 20.93°, intensity 30
- hkl 1 1 0, 34.51°, intensity 100
- hkl 1 1 6, 40.71°, intensity 16
- hkl 2 0 8, 49.60°, intensity 17
- hkl 1 2 8, 61.81°, intensity 26
- hkl 3 1 8, 83.09°, intensity 15

Structural model:
Lattice parameters (Å, degrees): 5.1949 5.1949 25.4988 90.00 90.00 120.00
Space group R3m (No. 160, hexagonal axes)
Symmetry-distinct sites (fractional):
Nd: 0.0000 0.0000 0.0000 x3
Nd: 0.0000 0.0000 0.4962 x3
Mg: 0.0000 0.0000 0.2474 x3
Mg: 0.0000 0.0000 0.6224 x3
Mg: 0.0000 0.0000 0.7484 x3
Cd: 0.0000 0.0000 0.1238 x3
Cd: 0.0000 0.0000 0.3703 x3
Cd: 0.0000 0.0000 0.8758 x3

Record 2
For Ce4ErAs6, DFT lattice parameters and positions (GGA-PBE) gives the calculated XRD peak list in this record (λ = 1.5418 Å (Cu Kα)).
No peak broadening, texture or thermal motion is included.

Peak list (6 most intense, 15° ≤ 2θ ≤ 90°, low angle first)
- hkl 3 0 0, 26.92°, intensity 86
- hkl 0 2 4, 30.58°, intensity 72
- hkl 1 3 1, 33.09°, intensity 79
- hkl 2 1 4, 34.43°, intensity 100
- hkl 2 2 3, 36.45°, intensity 91
- hkl 3 2 4, 47.13°, intensity 49

Structural model:
Lattice parameters (Å, degrees): 11.4746 11.4746 14.4630 90.00 90.00 120.00
Space group R-3c (No. 167, hexagonal axes)
Symmetry-distinct sites (fractional):
Ce: 0.0000 0.0000 0.2500 x6
Ce: 0.0000 0.3821 0.2500 x18
Er: 0.0000 0.0000 0.0000 x6
As: 0.0296 0.2089 0.3869 x36

Record 3
For Er3Tm5Th3, DFT lattice parameters and positions (GGA-PBE) gives the calculated XRD peak list in this record (λ = 1.5418 Å (Cu Kα)).

Its chief function was to remonstrate with the king if there was wrong or improper action or policy. Important decrees of the king were first reviewed by censors, who could ask to withdraw them if judged improper. It also issued opinions about the general state of affairs. It was composed of five officials, led by Chief Censor (Daesagan·대사간).

While the primary focus for Office of Inspector General is the government officials and Office of Censors is focused on the king, the two offices often performed each other's functions, and there was much overlap. Together they were called "Yangsa," (양사) which literally means "Both Offices," and often cooperated in joint actions especially when they sought to reverse the king's decision. In their role as organ of press, they did not have actual authority to decide or implement policies, but had influential voice in the ensuing debate. [2]

Office of Special Advisors

It oversaw the royal library and served as research institute to study Confucian philosophy and answer the king's questions. Its officials took part in the daily lessons called gyeongyeon (경연), in which they discussed history and Confucian philosophy with the king. Gyeongyeon generally took place three times a day although few kings such as Taejong and Yeonsangun abolished them. Since these discussions often led to commentary on current political issues, its officials had significant influence as advisors. It was headed by Chief Scholar (Daejehak·대제학), who served concurrently in another high post (such as in State Council), and Deputy Chief Scholar (Bujehak·부제학), who actually ran the office. There was great prestige attached to being Chief Scholar in this deeply Confucian society.

The office was established in 1463 by King Sejo to replace Hall of Worthies (Jiphyeonjeon·집현전), which he abolished in 1456 when many of its key officials ("Six martyred ministers") became involved in the assassination plot in their effort to restore deposed king Danjong to the throne.


Three Offices of Joseon was inherited from Goryeo Dynasty, but its characteristic features were developed after neo-Confucianism became the ideological foundation in Joseon, especially during Seongjong's reign.

Seongjong brought in a group of neo-Confucian scholars called Sarim as a new political force to check the power of ministers (called Hungu) who had accumulated great power and wealth by supporting his grandfather Sejo when Sejo usurped the throne from his nephew Danjong. With Seongjong's patronage, Sarim scholars occupied key posts in Three Offices and challenged the Hungu ministers who occupied key posts in State Council and Six Ministries. More significantly, Three Offices developed into a third base of power that provided checks and balance between the king and the ministers of State Council and Six Ministries. It could remonstrated with the king if it perceived that the king made a mistake had veto power against appointment of officials and enactment of laws including royal decrees.

The resulting conflict between Sarim and Hungu factions led to two literati purges that decimated Sarim scholars and emasculated Three Offices during Yeonsangun's reign. Yeonsangun, who saw Three Offices as a threat to king's absolute authority, eliminated two offices - Office of Censors and Council of Special Advisors - and reduced Office of Inspector General. However, Three Offices was restored to its previous position when Yeonsangun became too tyrannical and was deposed in a coup.

Jungjong of Joseon, who succeeded Yeonsangun, again embraced Sarim scholars as a means to check powers of Hungu ministers who put him on the throne and thus wielded power that virtually superseded Jungjong. Again, Sarim scholars led by Jo Gwang-jo used Three Offices as power base to challenge Hungu ministers and launch a series of reforms. However, Jungjong was estranged from Jo Gwang-jo due to radical nature of his reforms and slander of the Hungu faction, which led to Third Literati Purge of 1519.

Traditionally, these purges were interpreted in terms of struggle between two rival factions - Sarim and Hungu. But some historians now view the purges as Joseon kings' campaign to weaken Three Offices, which emerged as a key player in the delicate balance between monarchy and bureaucracy/aristocracy that characterized Joseon.[3]

The piece is interrupted by calculated crystals
-- begin --
Record 1
Sr3As4: theoretical powder diffractogram (Cu Ka), based on a DFT-relaxed cell (PBE, the Materials Project).

Atomic structure:
abc: 6.0428 8.0902 9.5254
angles: 83.20 71.51 68.07
Space group P1 (No. 1)
One atom of each set of equivalent atoms:
Sr  0.0000  0.0000  0.0000
Sr  0.0624  0.4927  0.8306
Sr  0.2936  0.0094  0.3257
Sr  0.3786  0.5056  0.1657
Sr  0.6457  0.9960  0.6560
Sr  0.7551  0.5055  0.4939
As  0.0692  0.1665  0.6558
As  0.1556  0.6799  0.5019
As  0.3462  0.3261  0.4858
As  0.4203  0.1738  0.9932
As  0.4654  0.6702  0.8356
As  0.5834  0.8308  0.9945
As  0.8847  0.8321  0.3389
As  0.9801  0.3339  0.1500

Main lines, in order of rising 2θ (15 to 90 degrees two-theta):
(1 0 0), 16.56 deg, rel. 141; (1 2 2), 27.48 deg, rel. 343; (0 1 -3), 31.98 deg, rel. 1000; (-1 2 1), 36.60 deg, rel. 604; (2 1 4), 42.38 deg, rel. 430; (1 -3 2), 47.46 deg, rel. 257; (3 4 3), 57.16 deg, rel. 150; (1 3 5), 57.28 deg, rel. 157; (1 -3 5), 65.54 deg, rel. 103; (0 5 3), 70.02 deg, rel. 120

Record 2
Sr5As3: theoretical powder diffractogram (Cu Ka), based on a DFT-relaxed cell (PBE, the Materials Project).

Atomic structure:
abc: 9.0472 9.0472 7.3045
angles: 90.00 90.00 120.00
Space group P6_3/mcm (No. 193)
One atom of each set of equivalent atoms:
Sr  0.0000  0.2551  0.2500
Sr  0.3333  0.6667  0.0000
As  0.0000  0.3912  0.7500

Main lines, in order of rising 2θ (15 to 90 degrees two-theta):
(0 0 2), 24.37 deg, rel. 236; (1 0 2), 26.93 deg, rel. 175; (2 1 0), 30.18 deg, rel. 256; (1 1 2), 31.48 deg, rel. 1000; (2 1 1), 32.63 deg, rel. 916; (3 0 0), 34.34 deg, rel. 523; (3 1 1), 43.45 deg, rel. 147; (2 2 2), 47.27 deg, rel. 210; (2 1 3), 48.40 deg, rel. 298; (3 0 4), 62.01 deg, rel. 184

Record 3
SrAs: theoretical powder diffractogram (Cu Ka), based on a DFT-relaxed cell (PBE, the Materials Project).

Atomic structure:
abc: 8.3633 8.3633 6.2244
angles: 90.00 90.00 120.00
Space group P-62m (No. 189)
One atom of each set of equivalent atoms:
Sr  0.0000  0.3525  0.0000
Sr  0.0000  0.6868  0.5000
As  0.0000  0.0000  0.2039
As  0.3333  0.6667  0.2909

Main lines, in order of rising 2θ (15 to 90 degrees two-theta):
(1 1 0), 21.25 deg, rel. 165; (1 1 1), 25.66 deg, rel. 1000; (1 1 2), 35.97 deg, rel. 873; (3 0 0), 37.24 deg, rel. 856; (2 2 1), 45.78 deg, rel. 187; (1 1 3), 49.01 deg, rel. 175; (2 2 2), 52.74 deg, rel. 276; (4 1 1), 60.43 deg, rel. 148; (4 1 2), 66.32 deg, rel. 287; (3 0 4), 72.23 deg, rel. 136

Record 4
SrZn2As2: theoretical powder diffractogram (Cu Ka), based on a DFT-relaxed cell (PBE, the Materials Project).

Atomic structure:
abc: 4.2659 4.2659 7.3193
angles: 90.00 90.00 120.00
Space group P-3m1 (No. 164)
One atom of each set of equivalent atoms:
Sr  0.0000  0.0000  0.0000
Zn  0.3333  0.6667  0.3706
As  0.3333  0.6667  0.7294

Main lines, in order of rising 2θ (15 to 90 degrees two-theta):
-- stop --


  1. ^ Kim Beom, Age of Literati Purges and Coup
  2. ^ Yi Sang-bae, "Samsa", Dusan Encyclopedia
  3. ^ Kim Beom, Age of Literati Purges and Coup